Hello, and welcome *spreads arms in welcoming gesture* to GEEK.SLEEP.RINSE.REPEAT. “Who are you?” I hear you ask? We are Will and Omar nice to meet you. We love all things geeky, and have decided that we love it so much that we want to write about it. So lets start with a little introduction to the both of us.
Firstly I’m Will. I started playing video games in the NES days, the Super Mario and Duck Hunt combination was my first experience, well that I can remember anyway. Since then my love for games has grown and grown.
I mostly play games on my Xbox 360 nowadays, but I do dabble in some PC gaming as well, although I don’t have a top of the range machine, so can’t play everything.
In the last year, my ‘geeky-ness’ has expanded in to other areas, and I now find myself watching various anime series, and have started a graphic novel collection amongst other things. So naturally these are the things I will mostly be talking about on this blog. Plus a little from TV shows that I’m watching, and films I might have seen. You get the idea.
And I’m Omar or Murr, either or.
My first console was the Master System, Many hours were spent on Sonic and the duck hunt equivalent ‘Safari Hunt’. From there It was Gameboy, Snes…. all the way to today in which the only console’s I don’t own are a Megadrive and the 2 new next gen machines.
Again like Will there was a period of PC gaming, but you’re more likely to find me playing Xbox 360 or Wii U. I’m also a self acclaimed Nintendo Nut. I’m also very much into other geek areas of life including comics, movies, TV and not sure if it’s considered geeky but still enjoy the odd spot of WWE!
I’ll mostly be posting Nintendo defence force posts and Marvel Cinematic Universe “Wouldn’t it be cool if…” posts.
_Here the text breaks off for crystal structures_
~~~
This entry pairs a crystal structure of Na3Er2FeO6 with its calculated powder diffraction line list. Radiation: Cu Kα (weighted mean of Kα1 and Kα2). Structure: a GGA+U-relaxed structure.
No peak broadening, texture or thermal motion is included.

Largest 12 diffraction maxima, low angle first, 10 to 90 degrees two-theta:
Position (°2θ), I/Imax
16.00, 1000
31.97, 444
32.32, 216
33.34, 560
38.33, 586
38.51, 290
50.00, 123
54.80, 184
56.08, 274
58.67, 130
66.15, 118
70.01, 134

Cell: 5.683 5.683 5.845 Å, 99.16 99.16 120.09°
Fractional coordinates of all 12 atoms:
Na 0.000 0.000 0.000
Na 0.342 0.658 0.000
Na 0.658 0.342 0.000
Er 0.167 0.833 0.500
Er 0.833 0.167 0.500
Fe 0.500 0.500 0.500
O 0.117 0.432 0.292
O 0.253 0.253 0.705
O 0.432 0.117 0.292
O 0.568 0.883 0.708
O 0.747 0.747 0.295
O 0.883 0.568 0.708

* * * * *

This entry pairs a crystal structure of CrSbF10 with its simulated X-ray diffraction stick pattern. Radiation: Cu Ka. Structure: the PBE+U geometry in Alexandria.

```
data_CrSbF10
_cell_length_a 5.815
_cell_length_b 10.543
_cell_length_c 12.450
_cell_angle_alpha 90.00
_cell_angle_beta 100.30
_cell_angle_gamma 90.00
_symmetry_space_group_name_H-M 'P 1 21/c 1'
_symmetry_Int_Tables_number 14
loop_
_symmetry_equiv_pos_as_xyz
'x,y,z'
'-x,-y,-z'
'-x,y+1/2,-z+1/2'
'x,-y+1/2,z+1/2'
loop_
_atom_site_label
_atom_site_type_symbol
_atom_site_fract_x
_atom_site_fract_y
_atom_site_fract_z
_atom_site_occupancy
Cr1 Cr 0.177 0.245 0.302 1
Sb1 Sb 0.500 0.000 0.000 1
Sb2 Sb 0.500 0.000 0.500 1
F1 F 0.020 0.700 0.621 1
F2 F 0.030 0.109 0.255 1
F3 F 0.079 0.170 0.684 1
F4 F 0.233 0.577 0.038 1
F5 F 0.253 0.053 0.070 1
F6 F 0.306 0.153 0.447 1
F7 F 0.330 0.647 0.448 1
F8 F 0.358 0.093 0.864 1
F9 F 0.429 0.573 0.859 1
F10 F 0.448 0.206 0.273 1
```

Most intense lines, 2θ from 10° to 90°, by angle:
| Position (°2θ) | intensity | h k l |
| --- | --- | --- |
| 14.46 | 238 | 0 0 2 |
| 15.49 | 343 | 1 0 0 |
| 16.77 | 223 | 0 2 0 |
| 17.64 | 225 | 1 1 0 |
| 19.24 | 812 | 1 0 -2 |
| 22.25 | 1000 | 0 2 2 |
| 22.94 | 657 | 1 2 0 |
| 23.09 | 164 | 1 0 2 |
| 28.70 | 311 | 1 2 2 |
| 35.67 | 197 | 1 0 4 |
| 39.02 | 190 | 2 0 -4 |
| 53.17 | 200 | 1 2 6 |

***

This entry pairs a crystal structure of SrNiAg2F8 with its simulated X-ray diffraction stick pattern. Radiation: Cu Ka. Structure: the PBE+U geometry in Alexandria.

```
data_SrNiAg2F8
_cell_length_a 5.869
_cell_length_b 5.869
_cell_length_c 9.969
_cell_angle_alpha 90.00
_cell_angle_beta 90.00
_cell_angle_gamma 90.00
_symmetry_space_group_name_H-M 'I -4'
_symmetry_Int_Tables_number 82
loop_
_symmetry_equiv_pos_as_xyz
'x,y,z'
'y,-x,-z'
'-x,-y,z'
'-y,x,-z'
'x+1/2,y+1/2,z+1/2'
'y+1/2,-x+1/2,-z+1/2'
'-x+1/2,-y+1/2,z+1/2'
'-y+1/2,x+1/2,-z+1/2'
loop_
_atom_site_label
_atom_site_type_symbol
_atom_site_fract_x
_atom_site_fract_y
_atom_site_fract_z
_atom_site_occupancy
Sr1 Sr 0.000 0.000 0.000 1
Ni1 Ni 0.000 0.500 0.750 1
Ag1 Ag 0.000 0.000 0.500 1
Ag2 Ag 0.000 0.500 0.250 1
F1 F 0.117 0.681 0.472 1
F2 F 0.131 0.203 0.780 1
~~~
_The text goes on_
I also grew up playing Duck Hunt. This is for you guys: http://drakulus.com/2013/12/12/the-sunshine-award-2/
Hi Will and Omar! I’m not sure the best way to contact you, but my name is Jake, and I’m a writer for a gaming blog called Couch Bandits. We’re working on a project where we compile 100 gaming memories/stories from gamers of all types, and I thought you two might be interested in submitting!
(Records of crystals from another source follow)
<<<
Record 1
# TbPrHo6
Theoretical X-ray diffraction stick pattern, Cu Ka. Input: DFT lattice parameters and positions (PBE).
Neutral-atom scattering factors, no anomalous dispersion.

Atomic structure:
a = 6.443 Å, b = 6.443 Å, c = 6.443 Å
α = 96.60°, β = 96.60°, γ = 96.60°
Element x y z (fractional)
Tb: 0.000 0.000 0.000
Pr: 0.500 0.500 0.500
Ho: 0.046 0.752 0.455
Ho: 0.248 0.545 0.954
Ho: 0.455 0.046 0.752
Ho: 0.545 0.954 0.248
Ho: 0.752 0.455 0.046
Ho: 0.954 0.248 0.545

Top 10 peaks for 10 to 80 degrees two-theta, by angle:
Position (°2θ), d (Å), intensity
28.1, 3.173, 31
29.8, 2.998, 24
32.2, 2.777, 100
33.2, 2.701, 95
33.8, 2.649, 25
46.9, 1.936, 26
51.3, 1.781, 18
54.6, 1.681, 13
58.1, 1.588, 31
59.8, 1.546, 16

Record 2
# La4Nd4Y
Theoretical X-ray diffraction stick pattern, Cu Ka. Input: DFT lattice parameters and positions (PBE).
Neutral-atom scattering factors, no anomalous dispersion.

Atomic structure:
a = 8.255 Å, b = 8.255 Å, c = 8.233 Å
α = 107.30°, β = 107.30°, γ = 37.06°
Element x y z (fractional)
La: 0.056 0.056 0.333
La: 0.389 0.389 0.334
La: 0.611 0.611 0.666
La: 0.944 0.944 0.667
Nd: 0.166 0.166 0.999
Nd: 0.278 0.278 0.670
Nd: 0.722 0.722 0.330
Nd: 0.834 0.834 0.001
Y: 0.500 0.500 0.000

Top 10 peaks for 10 to 80 degrees two-theta, by angle:
Position (°2θ), d (Å), intensity
29.6, 3.017, 100
34.2, 2.624, 17
34.4, 2.607, 34
49.3, 1.849, 24
58.4, 1.581, 7
58.4, 1.580, 7
58.6, 1.575, 14
58.7, 1.572, 14
61.4, 1.510, 6
61.5, 1.507, 6

Record 3
# TaFeW2
Theoretical X-ray diffraction stick pattern, Cu Ka. Input: DFT lattice parameters and positions (PBE).
Neutral-atom scattering factors, no anomalous dispersion.

Atomic structure:
a = 3.168 Å, b = 3.168 Å, c = 6.169 Å
α = 90.00°, β = 90.00°, γ = 90.00°
Element x y z (fractional)
Ta: 0.000 0.000 0.000
Fe: 0.500 0.500 0.759
W: 0.000 0.000 0.517
W: 0.500 0.500 0.269

Top 10 peaks for 10 to 80 degrees two-theta, by angle:
Position (°2θ), d (Å), intensity
14.4, 6.169, 9
28.2, 3.168, 5
31.8, 2.818, 11
40.3, 2.240, 53
40.8, 2.210, 100
58.3, 1.584, 18
60.0, 1.542, 8
61.2, 1.515, 3
73.6, 1.287, 35
74.7, 1.270, 16

Record 4
# K2In4Au5
Theoretical X-ray diffraction stick pattern, Cu Ka. Input: DFT lattice parameters and positions (PBE).
Neutral-atom scattering factors, no anomalous dispersion.

Atomic structure:
a = 10.185 Å, b = 9.112 Å, c = 6.335 Å
α = 80.32°, β = 61.87°, γ = 37.81°
Element x y z (fractional)
K: 0.133 0.133 0.867
K: 0.867 0.867 0.133
In: 0.211 0.534 0.466
In: 0.466 0.789 0.211
In: 0.534 0.211 0.789
In: 0.789 0.466 0.534
Au: 0.000 0.000 0.500
Au: 0.250 0.250 0.250
Au: 0.500 0.500 0.000
Au: 0.500 0.500 0.500
Au: 0.750 0.750 0.750

Top 10 peaks for 10 to 80 degrees two-theta, by angle:
Position (°2θ), d (Å), intensity
16.1, 5.515, 91
17.1, 5.173, 61
32.3, 2.769, 50
33.0, 2.713, 48
35.6, 2.520, 68
38.8, 2.318, 59
39.3, 2.292, 100
42.2, 2.141, 38
54.3, 1.690, 29
58.3, 1.584, 31

Record 5
# Sn2SbSe
>>>
(So much for the records of crystals)
Your memories can be super short, so nothing too intensive, and it can be about whatever you want—like your funniest experience gaming with friends or maybe about a game that reminds you of a meaningful time in your life.
If you’d like to submit or talk it over, let me know. Thanks for your time!! Keep gaming 🙂
Hi Jake,
Someone pasted materials data at this point
1.
Structure and calculated XRD peak list of K2AlAuBr6 (the GGA-PBE geometry in the Materials Project; a wavelength of 1.5418 Å).
No peak broadening, texture or thermal motion is included.

Largest 10 diffraction maxima, sorted by position, 10° ≤ 2θ ≤ 90°:
- 2θ 14.3, 6.215 Å, I 23.8
- 2θ 16.5, 5.382 Å, I 83.8
- 2θ 27.5, 3.246 Å, I 35.2
- 2θ 28.7, 3.107 Å, I 37.9
- 2θ 33.3, 2.691 Å, I 100.0
- 2θ 36.4, 2.469 Å, I 29.2
- 2θ 37.4, 2.407 Å, I 42.7
- 2θ 47.8, 1.903 Å, I 68.8
- 2θ 59.5, 1.554 Å, I 23.0
- 2θ 79.7, 1.203 Å, I 28.4

Atomic structure:
Lattice parameters (Å, degrees): 7.611 7.611 7.611 60.00 60.00 60.00
Fractional positions:
K: 0.250 0.250 0.250
K: 0.750 0.750 0.750
Al: 0.000 0.000 0.000
Au: 0.500 0.500 0.500
Br: 0.236 0.236 0.764
Br: 0.236 0.764 0.236
Br: 0.236 0.764 0.764
Br: 0.764 0.236 0.236
Br: 0.764 0.236 0.764
Br: 0.764 0.764 0.236

2.
Structure and calculated XRD peak list of GdMnB4 (the GGA-PBE geometry in the Materials Project; a wavelength of 1.5418 Å).
No peak broadening, texture or thermal motion is included.

Largest 10 diffraction maxima, sorted by position, 10° ≤ 2θ ≤ 90°:
- 2θ 21.5, 4.125 Å, I 26.3
- 2θ 26.0, 3.429 Å, I 65.7
- 2θ 27.7, 3.215 Å, I 33.9
- 2θ 31.1, 2.872 Å, I 90.7
- 2θ 34.0, 2.637 Å, I 23.2
- 2θ 38.4, 2.345 Å, I 50.3
- 2θ 41.0, 2.202 Å, I 100.0
- 2θ 43.9, 2.063 Å, I 23.5
- 2θ 46.9, 1.935 Å, I 20.6
- 2θ 63.2, 1.472 Å, I 28.0

Atomic structure:
Lattice parameters (Å, degrees): 5.935 11.476 3.429 90.00 90.00 90.00
Fractional positions:
Gd: 0.126 0.150 0.000
Gd: 0.374 0.650 0.000
Gd: 0.626 0.350 0.000
Gd: 0.874 0.850 0.000
Mn: 0.128 0.416 0.000
Mn: 0.372 0.916 0.000
Mn: 0.628 0.084 0.000
Mn: 0.872 0.584 0.000
B: 0.024 0.690 0.500
B: 0.112 0.546 0.500
B: 0.139 0.968 0.500
B: 0.220 0.816 0.500
B: 0.280 0.316 0.500
B: 0.361 0.468 0.500
B: 0.388 0.046 0.500
B: 0.476 0.190 0.500
B: 0.524 0.810 0.500
B: 0.612 0.954 0.500
B: 0.639 0.532 0.500
B: 0.720 0.684 0.500
B: 0.780 0.184 0.500
B: 0.861 0.032 0.500
B: 0.888 0.454 0.500
B: 0.976 0.310 0.500

3.
Structure and calculated XRD peak list of Y2HfO5 (the GGA-PBE geometry in the Materials Project; a wavelength of 1.5418 Å).
No peak broadening, texture or thermal motion is included.

Largest 10 diffraction maxima, sorted by position, 10° ≤ 2θ ≤ 90°:
- 2θ 16.3, 5.431 Å, I 53.1
- 2θ 24.0, 3.704 Å, I 43.5
- 2θ 28.3, 3.153 Å, I 91.3
- 2θ 29.5, 3.029 Å, I 100.0
- 2θ 32.4, 2.764 Å, I 38.5
- 2θ 32.8, 2.734 Å, I 28.1
- 2θ 33.7, 2.659 Å, I 44.2
- 2θ 44.8, 2.022 Å, I 22.1
- 2θ 46.7, 1.944 Å, I 38.7
- 2θ 50.5, 1.809 Å, I 38.8

Atomic structure:
Lattice parameters (Å, degrees): 6.520 6.520 7.697 110.82 110.82 50.16
Fractional positions:
Y: 0.135 0.143 0.248
Y: 0.143 0.135 0.748
Y: 0.857 0.865 0.252
Y: 0.865 0.857 0.752
Hf: 0.500 0.500 0.000
Hf: 0.500 0.500 0.500
O: 0.101 0.751 0.044
O: 0.175 0.477 0.355
O: 0.249 0.899 0.456
O: 0.324 0.676 0.750
O: 0.477 0.175 0.855
O: 0.523 0.825 0.145
O: 0.676 0.324 0.250
O: 0.751 0.101 0.544
O: 0.825 0.523 0.645
O: 0.899 0.249 0.956

4.
End of the materials data
Thanks for getting in touch. Yes, I’d be interested in taking part. I’ll talk to Murr to to see if he want’s to. Let me know when you’d need something by and where best to send it.
Awesome! Thanks so much, Will. Here’s a post with more details—you can submit right through here whenever you and Murr are ready: couchbandits.com/2018/11/10/we-need-your-help-whats-your-favorite-gaming-memory/
Let me know if you have any questions! We’d love a response within the next two weeks, if possible. Thanks again, -Jake
Awesome, I’ve sent something through to you!
Hi Jake, sorry for the delayed reply. I’d also certainly be happy to add a gaming memory. I’ll get something over to you soon. 🙂 thanks Omar/Murr
Awesome!! Thank you, both! Really appreciate it.